Investing is complicated. If you are a fundamental investor who looks at companies, you need to understand the company’s financials, grasp the underlying business, delve into how the company spends money to make money, and assess how it differs from its competitors. That work alone is substantial and hard. But it is not enough for a good investment decision.
On top of that, a good investor also has to understand what other people think about the company. Other people’s expectations are embedded in the stock price, and the primary work of an investor is deciding whether those expectations — and the current price — make sense.
Data records, as found in the file
____________
{
  "formula": "C20H40ClN2O4",
  "method": "ωB97M-V/def2-TZVPD",
  "symbols": ["H", "H", "H", "C", "H", "O", "H", "N", "H", "C", "C", "O", "C", "H", "C", "C", "H", "C", "H", "H", "C", "H", "C", "H", "C", "N", "H", "H", "C", "C", "O", "H", "H", "H", "C", "H", "H", "C", "H", "H", "H", "H", "H", "H", "H", "H", "C", "H", "C", "H", "H", "H", "H", "H", "C", "H", "O", "H", "C", "C", "Cl", "H", "C", "H", "H", "H", "H"],
  "coordinates": [[-1.41998, 1.94199, -1.92246], [-2.10421, 3.66281, -1.38812], [-4.26683, -1.11554, -2.16725], [-5.90419, -4.54694, 1.82266], [7.01557, -4.36760, 0.89454], [-2.56480, 4.74543, 0.92059], [5.31584, -4.73897, 1.21257], [0.66259, 5.37499, 0.23165], [5.35513, 0.45613, -2.36711], [5.98828, -4.10511, 0.62939], [3.89003, -2.32882, -0.86427], [-2.25305, 0.86263, 0.55382], [-2.12853, 2.53107, -1.23130], [4.16404, -1.16270, 0.93493], [-4.98628, -1.05384, -1.34560], [4.29814, -2.19913, 0.60628], [6.45022, -2.01575, 0.37092], [1.87004, 1.94477, 1.05888], [-3.51730, -1.09862, 0.20846], [-3.27069, -3.21624, -1.03360], [-4.41222, -1.66316, -0.07373], [-0.03798, 5.61801, -0.51358], [-5.18256, -4.07766, -0.57521], [5.80097, -1.91275, -1.80809], [-1.45550, 4.19981, 1.19842], [0.18478, 8.21399, -1.21764], [2.85329, -1.98642, -0.96722], [-4.78586, -5.09652, -0.66156], [4.76912, -1.55571, -1.85108], [0.79122, 7.54682, -0.39992], [1.45983, 6.51022, 0.35334], [2.46085, 4.09142, 1.76020], [-3.19570, 2.18253, -1.51959], [3.47460, 3.35930, 0.41888], [1.42210, 4.17064, -0.29171], [5.92406, -2.44960, 1.98383], [-5.22246, 0.00229, -1.18281], [-4.02318, -3.13465, -0.24032], [-5.90778, -1.55297, -1.65496], [-5.58516, -3.82860, -1.56231], [3.60616, -2.79747, 1.21127], [-5.14645, -3.89005, 2.25711], [5.85074, -4.33786, -0.42939], [0.93242, 1.69702, 0.42807], [-6.78286, -3.08336, 0.50672], [-0.56978, 6.14750, 1.81035], [5.73204, -2.63280, 0.92057], [2.65431, 1.14410, 0.76136], [4.73501, -0.05112, -1.62255], [-5.12406, -1.54424, 0.74724], [5.11955, 0.21805, -0.63500], [-5.49953, -5.56120, 1.78146], [3.71479, 0.33440, -1.71422], [0.67686, 3.45082, -0.80614], [2.38148, 3.46128, 0.78960], [-3.52757, -3.47223, 0.67612], [-1.25835, 2.79615, 1.33077], [3.88464, -3.38501, -1.15248], [-1.89039, 2.04336, 0.27463], [-0.13914, 5.12124, 1.48443], [2.52654, 4.82178, -1.64423], [0.46862, 4.73010, 2.36944], [-6.32976, -4.07765, 0.43807], [1.54146, 1.80642, 2.16152], [-7.11638, -4.74611, 0.07045], [-6.76333, -4.55253, 2.49850], [4.41275, -1.76132, -2.86609]],
____________
In short, the investor’s job isn’t to find the best companies. It’s to find the best prices.
Inserted here: records of molecules >
=====
[1]
C40H77INO17P2 | ωB97M-V/def2-TZVPD

Output
HOMO energy ... -4.1 eV
HOMO-LUMO gap ... 0.208 Eh
Lowest unoccupied orbital energy ... 1.6 eV
2S+1 ... 1
Net charge ... -1

```
138
Properties=species:S:1:pos:R:3:mulliken_charge:R:1
C 2.33 -4.32 -0.25 -0.701
N 2.18 -3.14 -1.14 -0.184
C 1.04 -3.36 -2.05 -0.985
C 0.20 -2.04 -2.36 2.286
C 0.89 -0.72 -1.89 -0.352
C 0.50 0.54 -2.78 -0.259
C 1.65 0.96 -3.79 -0.800
C 2.30 2.34 -3.44 -1.127
C 3.15 2.32 -2.11 0.080
C 4.70 2.46 -2.40 -0.711
O 5.37 2.47 -1.11 -0.270
C 6.42 3.34 -1.07 0.649
C 6.65 4.13 0.26 -0.794
O 7.20 3.53 -1.97 -0.550
O -1.19 -2.17 -2.11 -0.887
C -1.67 -2.05 -0.79 1.263
C -0.72 -2.36 0.43 -0.569
C -1.07 -1.61 1.80 -0.658
C -0.12 -0.38 2.07 -1.010
I -0.56 -3.07 3.39 -0.119
C -2.48 -0.68 -0.66 -1.152
O -1.63 0.45 -0.45 0.293
C -2.33 1.66 -0.19 -1.099
C -2.30 2.66 -1.42 0.208
C -3.65 3.40 -1.63 -0.762
O -3.44 4.63 -2.38 -0.341
C -4.29 5.60 -1.87 0.704
C -5.81 5.66 -2.18 -0.861
O -3.82 6.42 -1.14 -0.530
P -3.69 -0.42 -2.12 0.335
O -3.02 -0.06 -3.41 -0.577
P -3.07 -3.37 -0.71 -0.262
C -2.32 -5.05 -1.05 -0.963
C -3.91 -3.36 0.95 -0.597
C 0.32 -1.97 -3.96 0.272
O 1.47 -2.01 -4.48 -0.785
O -0.69 -1.93 -4.71 -0.772
H 3.28 -4.23 0.35 0.326
H 2.36 -5.27 -0.84 0.235
H 1.46 -4.32 0.46 0.121
H 3.03 -3.02 -1.70 0.373
H 0.32 -4.02 -1.50 0.091
H 1.30 -3.91 -2.98 -0.425
H 0.65 -0.42 -0.84 -1.002
H 2.00 -0.76 -1.94 0.924
H -0.50 0.44 -3.27 0.534
H 0.41 1.41 -2.07 -0.010
H 1.27 0.97 -4.84 0.464
H 2.46 0.20 -3.78 0.239
H 1.59 3.20 -3.48 0.315
H 3.04 2.55 -4.27 0.523
H 3.02 1.39 -1.52 0.124
H 2.90 3.23 -1.51 0.220
H 4.94 3.38 -2.98 0.408
H 5.07 1.58 -2.99 0.210
H 5.70 4.31 0.81 0.287
H 7.34 3.58 0.94 0.258
H 7.11 5.12 0.06 0.169
H -0.83 -3.45 0.66 0.635
H 0.37 -2.19 0.28 0.225
H -2.14 -1.41 1.95 0.549
H 0.82 -0.75 2.54 0.544
H 0.18 0.16 1.15 -0.019
H -0.62 0.25 2.84 0.355
H -3.18 -0.72 0.24 0.492
H -1.79 2.18 0.64 0.344
H -3.38 1.46 0.16 0.472
H -1.43 3.35 -1.34 0.426
H -2.11 2.04 -2.34 0.017
H -4.13 3.58 -0.63 0.408
H -4.34 2.76 -2.24 0.101
H -5.97 6.14 -3.18 0.272
H -6.33 4.68 -2.12 0.285
H -6.25 6.34 -1.41 0.322
H -4.58 -1.52 -2.25 0.136
H -4.50 0.70 -1.71 -0.066
H -1.86 -5.08 -2.06 0.256
H -3.11 -5.85 -1.02 0.453
H -1.55 -5.34 -0.27 0.210
H -4.87 -3.93 0.86 0.514
H -3.30 -3.90 1.71 0.080
H -4.18 -2.34 1.32 0.133
O -3.99 -3.10 3.71 -0.430
C -4.44 -3.47 4.77 0.586
O -5.17 -2.63 5.51 -0.300
C -5.89 -3.02 6.69 -0.303
C -4.99 -3.00 7.91 -1.036
C -4.11 -4.84 5.30 -1.032
H -6.39 -3.98 6.55 0.369
H -6.68 -2.27 6.82 0.171
H -4.17 -3.72 7.81 0.337
H -5.55 -3.24 8.81 0.360
H -4.53 -2.02 8.03 0.289
H -3.13 -4.81 5.78 0.257
H -4.08 -5.54 4.46 0.312
H -4.85 -5.23 6.00 0.382
O -5.36 0.30 8.78 -0.533
C -6.15 0.87 8.08 0.847
O -6.40 0.40 6.84 -0.329
C -7.44 0.90 5.98 -0.406
C -6.98 2.13 5.23 -1.054
C -6.81 2.14 8.53 -1.158
H -8.36 1.07 6.55 0.389
H -7.65 0.10 5.27 0.334
H -6.74 2.96 5.91 0.276
H -7.76 2.47 4.54 0.376
H -6.08 1.92 4.66 0.324
H -6.13 2.98 8.36 0.278
H -7.02 2.06 9.60 0.320
H -7.76 2.34 8.05 0.340
=====
So much for the records of molecules >
Investment thinker Michael Mauboussin compares it to horse betting: “The goal is not to figure out which horse will win but rather which horse has odds that are mispriced relative to how it will likely run the race.” To do well at this, you do need to understand the fundamentals of each horse – its capabilities and its racing attributes. But you also need to understand the public’s expectations about the horse, or how the betting odds were determined.
== Someone pasted quantum chemistry results at this point ==
-- begin --
Entry from the Open Molecules 2025 dataset: 2 unconnected molecules or ions with the total composition C12H10Cl3N2O3 in a non-equilibrium geometry (ωB97M-V/def2-TZVPD).

The geometry in XYZ format:
```
30
Properties=species:S:1:pos:R:3:forces:R:3
C -1.939234 -2.973170 -2.637953 0.3 -0.5 0.1
C -2.216467 -2.653387 -1.173208 -0.8 -0.3 -0.2
C -2.307035 -3.807965 -0.183791 0.3 -0.4 -0.2
N -3.515875 -1.792680 -1.075462 -0.8 0.3 -0.3
O -4.117713 -1.815825 0.001951 0.6 0.3 -1.7
O -3.804487 -1.123473 -2.075671 0.1 -1.0 1.9
H -1.205886 -3.805811 -2.685219 -0.5 0.4 0.1
H -2.872014 -3.252118 -3.125847 0.1 -0.1 -0.2
H -1.473899 -2.108828 -3.126466 -0.4 -0.2 0.1
H -1.544269 -4.568817 -0.456735 -0.5 0.5 0.1
H -2.057059 -3.456236 0.827160 -0.4 -0.1 -0.4
H -3.310297 -4.236905 -0.212732 0.2 -0.2 0.1
Cl -1.039485 -1.553021 -0.633313 1.6 1.4 0.7
C 1.382902 0.051147 0.326820 -2.1 1.0 -3.1
Cl 2.195388 -1.222128 -0.470835 -0.1 -1.5 -0.3
C 1.047610 1.219097 -0.597097 0.4 -0.9 1.7
O 0.519433 1.203381 -1.716081 1.1 -0.2 1.1
C 1.617491 2.377640 0.138161 -0.8 -1.3 0.5
C 1.751518 2.347256 1.574592 -0.2 -0.6 0.2
C 2.384973 3.452065 2.158366 -0.1 0.0 0.2
C 2.830263 4.473609 1.361882 0.0 0.1 -0.5
C 2.672307 4.373557 -0.033043 -0.1 -0.2 0.2
N 2.093178 3.339926 -0.615922 0.5 1.7 -0.5
C 1.285391 1.215360 2.310631 -0.9 -0.3 -1.4
Cl 1.359171 1.162671 4.007106 -0.3 0.3 1.5
C 0.929185 0.029924 1.637405 1.8 1.1 0.7
H 2.507597 3.462547 3.237218 0.0 0.1 -0.1
H 3.294168 5.353308 1.772056 0.2 0.2 0.2
H 3.009579 5.166269 -0.690102 0.1 0.1 0.0
H 0.523557 -0.857392 2.156130 0.9 0.4 -0.2
```
Positions in Å, forces in eV/Å.

Summary:
charge = -1
calculated total energy = -2178.99296 hartree
maximum force = 3.87 eV/Å
ΔE to the lowest compared entry with this formula, charge and spin = 12.1 kcal per mole

Atom-resolved charges from Löwdin, all expressed in e: number 1, C, carries -0.0898; number 2, C, carries -0.8530; number 3, C, carries -0.0941; number 4, N, carries -0.3800; number 5, O, carries 0.0486; number 6, O, carries 0.0547; number 7, H, carries 0.0934; number 8, H, carries 0.0825; number 9, H, carries 0.0811; number 10, H, carries 0.0929; number 11, H, carries 0.0749; number 12, H, carries 0.0833; number 13, Cl, carries 0.8700; number 14, C, carries -0.7371; number 15, Cl, carries 0.6096; number 16, C, carries -0.4250; number 17, O, carries -0.0164; number 18, C, carries -0.1857; number 19, C, carries -0.1986; number 20, C, carries -0.0665; number 21, C, carries -0.0956; number 22, C, carries -0.1693; number 23, N, carries 0.1082; number 24, C, carries -0.7010; number 25, Cl, carries 0.6356; number 26, C, carries -0.1708; number 27, H, carries 0.0783; number 28, H, carries 0.0811; number 29, H, carries 0.0855; number 30, H, carries 0.1032

~~~~~

Molecular formula: C30H33ClGeN3O3S2Sc
Method: DFT, ωB97M-V with the def2-TZVPD basis set

Summary:
F_max: 2.16 eV/Å
orbital gap: 5.38 eV

Atoms and positions in Å:
1 Sc 0.277 -0.892 -0.112
2 C 2.219 -3.897 2.198
3 C 2.186 -3.030 3.282
-- stop --
“Perhaps the single greatest error in the investment business,” Mauboussin says, “is a failure to distinguish between the knowledge of a company’s fundamentals and the expectations implied by the market price.”
That is one of the main points in Mauboussin’s recent paper, “Thirty Years: Reflections on the Ten Attributes of Great Investors,” a deep and big-picture reflection on what makes great investors great. The big takeaway from the paper is that great investors think and behave differently from most. While the majority of people look to buy companies when fundamentals are good and sell when they are bad, great investors look for companies where their views are different from what the current price suggests. It is not enough for them to find companies that create value; they must also find companies that exceed the expectations embedded in their prices.
Doing this work, however, takes a certain kind of person. The picture that emerges from Mauboussin’s list of attributes (see box) is that great investors have a broad mix of hard and soft skills, quantitative and qualitative ones. They understand numbers, but they also know psychology and the hearts and minds of humans — themselves and others. They are mentally flexible. They have a certain kind of rationality that helps them manage cognitive biases better than most.

Mauboussin emphasizes first that great investors must be numerate and comfortable with accounting. Financial statements are the pathway to understanding a company’s business, its strategy, and its competitive position, and so investors must be expert at interpreting them.
But because the information financial statements can convey is limited, that is not enough. Investors also need superior qualitative judgement. And beyond that, great investors share certain cognitive traits: They are actively open-minded. They are enthusiastic learners. They are curious about a wide range of disciplines. They make it a point to seek out views that are different from their own and are not afraid to change their minds when the evidence tells them to. In addition, they are very, very good about not caring about what others think.
Perhaps one of the most interesting attributes listed is that great investors read, and read a lot – as much as, Mauboussin says, 500 pages a day. While the number of pages is not important, what does matter is that investors allocate time during the day when they do nothing else, and that they read across disciplines and include things they do not agree with. Constantly seeing breadth in thinking is what lays the groundwork for one to be able to formulate one’s own unique opinions.